The end of the trial

Dawn did not waste a single second and launched his assult on the two men before him.

Cutting ones head clean off while bashing the others in with the back of the axe.

He did not stop there and with incredible speed he began to make short work of the remaining peasents.

The bald man realised the danger quickly and began sending more peasents at Dawn.

But nothing he did could stop him.

Dawn was strong, fast and precise while the peasents were untrained and did not know how to wield their weapons.

The first men to face Dawn tried to thrust his pitchfork through his stomach only for him to stop it with his hand.

He then with a swift move broke the pitchfork and moved in to split the mans head in two.

The second seemed to be a butcher and rushed at Dawn with a large knife.

He raised it over his head and brought it down towards him.

Dawn simply moved to the side as he watched the butchers face slowely become full of fear as he was helpless to stop Dawn's axe coming towards him.

Seeing as they were no match to him on their own 3 peasents moved in to try and flank him.

Dawn met their attacks with precised deflects and countered them.

Every time he swung his axe a life was taken. Not one man could even strach him.

He outclassed them in every way.

The bald man was now terrified and began moving out of the cave in a hurry with panic and fear on his face.

Dawn noticed this and hurled his axe towards the bald man.

The axe landed and got stuck in one of the his calfs.

"GAAAAAH" He screamed as he looked back to see the axe stuck in his leg and blood spewing out of the wound like a fountine.

With the bald man unable to move and his axe gone Dawn continued his slaughter using only his bare hands.

He move forward with his eyes set on his prey.

The peasents tried everything they could but to no avail.

Once they moved in to try and land a blow he effortlessly caught, dodged or simply endured it and in return he tore them to shreds.

Heads were crushed, limbs were torn off and used as weapons by him.

They did not sign up for this.

The peasents eyes began to fill up with fear and terror as they saw a terrible scene unfold before them.

Dawn was covered in the blood of their fellow workers, their friends and for some even their families.

He held one of them by the head and legs while lifting him up above his head.

Dawn screamed at the top of his lungs as he began to pull the man apart.

He too began to scream in agony as his spine broke, his skin and muscles were being torn apart and soon his entier body was ripped in half.

The cursed elf could only watch in disbelief.

Dawn's fighting style was not like anything she has ever seen.

It had no elegance and was formless.

It was filled with brutality and malice with no base making it change according to the situation.

It was unpredictible and dangerous.

"How can someone fight like that? She thought

"How can someone commit such horrible acts without any regard for anothers life? Its as if he has been doing this his entier life. Its as if he was bred for . . . war."

Reiliazition struck the cursed elf as she remembered the scars on Dawn's body.

It was a testiment of the kind of life he lived.

There were some that were caused by sharp claws, and swords.

While some were caused by piercing or blunt weapons.

Erisha couldnt even began to imagine how he got those wounds and she didnt even want to.

The bald man slowely dragged his body to the cave entrance and shouted back at his men.

"Hold him the fuck back!"

The peasents no longer heard him as they were consumed by terror.

Dawn was now walking towards them.

All of them trembled at the sight before them and some even fainted.

Dawn was covered in blood with the corpses of their fellow men around him.

His eyes were like that of a a wild beast who sought to devour the whole world.

Dawn saw this and sighed.

When he was infront of them he decided to give them one las chance.

"Move" He said

Immidietly all of the peasents went out of his way as he walked towards the bald man.

The bald man began to crawl with all his strenght not daring to look back.

Dawn quickly caught up to him.

With a swift move he pulled the axe out of his calf as the bald man screamed in agony.

Blood splattered and flowed out of the wound on to the snow painting it crimson red.

He has never experienced anything like this pain before.

Dawn then walked next to the crying man and crouched down.

"Listen to me!" Said Dawn as he grabbed the mans face.

"You have about 2 minutes until you die from blood loss. if you want to live then answear my questions."

~~~
Entry 1:
{"formula": "Pr3YHo2S6", "functional": "GGA-PBE", "state": "optimized geometry", "lattice": [[-3.938, -0.236, 5.624], [-2.328, -2.522, -5.951], [4.642, -5.041, 1.641]], "species": ["Ho", "Ho", "Pr", "Pr", "Pr", "S", "S", "S", "S", "S", "S", "Y"], "fractional_positions": [[0.667, 0.333, 0.000], [0.333, 0.667, 0.000], [0.500, 0.500, 0.500], [0.834, 0.166, 0.500], [0.166, 0.834, 0.500], [0.077, 0.412, 0.230], [0.412, 0.077, 0.230], [0.259, 0.259, 0.771], [0.588, 0.923, 0.770], [0.923, 0.588, 0.770], [0.741, 0.741, 0.229], [0.000, 0.000, 0.000]], "dft_energy_ev_per_atom": -6.572, "magnetic_moment_mub_per_fu": 0.0}

***

Entry 2:
{"formula": "Pr4Y3HoS8", "functional": "GGA-PBE", "state": "optimized geometry", "lattice": [[-4.292, -6.586, -1.104], [4.198, -1.606, -6.740], [3.887, 1.105, 6.832]], "species": ["Y", "Y", "Y", "S", "S", "S", "S", "S", "S", "S", "S", "Ho", "Pr", "Pr", "Pr", "Pr"], "fractional_positions": [[0.000, 0.500, 0.500], [0.500, 0.500, 0.500], [0.500, 0.500, 0.000], [0.744, 0.731, 0.487], [0.255, 0.270, 0.012], [0.256, 0.269, 0.513], [0.757, 0.270, 0.515], [0.757, 0.270, 0.012], [0.243, 0.730, 0.988], [0.243, 0.730, 0.485], [0.745, 0.730, 0.988], [0.000, 0.500, 0.000], [0.500, 0.000, 0.500], [0.000, 0.000, 0.000], [0.000, 0.000, 0.500], [0.500, 0.000, 0.000]], "dft_energy_ev_per_atom": -6.767, "magnetic_moment_mub_per_fu": 0.0}

***

Entry 3:
{"formula": "PrY2HoS4", "functional": "GGA-PBE", "state": "optimized geometry", "lattice": [[-2.493, -0.745, -2.925], [2.621, -6.312, -0.626], [-3.522, -4.303, 4.097]], "species": ["Y", "Y", "Ho", "Pr", "S", "S", "S", "S"], "fractional_positions": [[0.500, 0.000, 0.500], [0.000, 0.000, 0.000], [0.000, 0.500, 0.500], [0.500, 0.500, 0.000], [0.000, 0.760, 0.737], [0.500, 0.753, 0.258], [0.000, 0.240, 0.263], [0.500, 0.247, 0.742]], "dft_energy_ev_per_atom": -6.837, "magnetic_moment_mub_per_fu": 0.0}

***

Entry 4:
{"formula": "Pr2YHo3S6", "functional": "GGA-PBE", "state": "optimized geometry", "lattice": [[-0.922, 3.716, -0.908], [-2.499, 1.215, 7.510], [8.856, 0.272, 0.642]], "species": ["S", "S", "S", "S", "S", "S", "Ho", "Ho", "Ho", "Pr", "Pr", "Y"], "fractional_positions": [[0.005, 0.750, 0.010], [0.995, 0.250, 0.990], [0.334, 0.931, 0.667], [0.666, 0.069, 0.333], [0.662, 0.595, 0.323], [0.338, 0.405, 0.677], [0.831, 0.167, 0.662], [0.169, 0.833, 0.338], [0.500, 0.500, 0.000], [0.168, 0.335, 0.335], [0.832, 0.665, 0.665], [0.500, 0.000, 0.000]], "dft_energy_ev_per_atom": -6.537, "magnetic_moment_mub_per_fu": 0.0}

***

Entry 5:
~~~

The bald man could only nod his head violantly.

Not wasting any time Dawn asked his first question.

"Did someone request the elfs or did you act on your own?"

Then the bald man answeared as fast as he could while enduring the pain.

"S- someone requested it!"

Dawn had a confliced look on his face.

His greatest worry turned out to be true.

"Shit!" Exclaimed a furious Dawn

"Where did they come from!?"

"I- I dont know!"

"How many were there!?"


"How did they contact you!?"

"In p- person!"

"How did they look like!?"

"Th- they wore a mask!"


"N- No, but please spare me I can find them plea-!"

But before he could finish his sentance Dawn's fist made contact with his head and caved his face in killing the man.

Blood splattered on Dawn's face and slowely dripped down.

With a grim look he stood up while clenching his fists.

He grindid his theeth as he could no longer contain his rage and let out a blood chilling scream in to the cold snowy night.

As Dawn screamed outside in the cave the child has awakened.

It was not the best of times to say the least.

"Wh- what happened here and where are we!?" Asked the young elf in a shaky tone.

Hearing her little brothers voice Erisha immidietly turned around and looked at him with great concern.

"Are you okay?!" She asked

The elf boy also had ropes tightly binding him, but he after a little struggeling he managed to sit up.

"I- I seem to be fine except for this stupid rope!" Said the white elf as he started trying to get out of it shaking his body, but to no avail.

Just then the screaming outside the cave has stopped.

The elfs turned their gazes at the cave entrance with fear in their eyes.

"Sister, is that the guy from earlier? Didn't I burn him to a crisp!?" Asked the young elf.

"You did, but he healed."

"What? How did he-"

"Let me explain what happened until now."

With that the cursed elf began telling what happened.

The young elf listened intently to his sisters tale.

At the same time Dawn managed to somewhat calm down outside the cave.

He walked back and forth while his mind raced.

"God damn it! Why is a cult on the rise again?! Didn't they learn their lesson that messing with that acursed plain only leads to destruction?!"

Instinctively he began to come up with ways to find their base and crush them as soon as possible.

Then suddenly he stopped.

His mind went blank until a single thought entered his mind.

He smiled and let out a small laugh as he held his head with his bloody hand.

"Right, it is no longer my burden to deal with them."

After his revalation he remembered the peasents and the elfs in the cave.

He took a deep breath and slowely let it out.

"I need a drink." Said Dawn as he began walking back inside the cave.

As he was walking he encountered the remaining peasents who were shaking from fear.

"Take the remains of those closest to you and get out." He commanded

Just from that single sentance the peasents hurriedly ran out of the cave carrying their fellow mens corpses.

Just as he was nearing the camp he heard the elfs talking.

"That is how we got here." Said the cursed elf to the white child.

Hearing all of what has happened the child had many questions, but decided to ask the most important one first.

"Can we trust him?"

"I don't know, but he didn't hurt you or me even after we attempted to kill him and he is even protecting us from those humans." Replied the cursed woman.

After hearing the end of the conversation Dawn decided to came out of the shadows.

Much to the elfs dismay he was covered in blood.

"It seems like the brat finally woke up." He said

The young elf glared at him with eyes sharp as knifes.

Even though he heard what has happened until now he didn't trust him one bit.

Ofcourse him being a bloody mess also played a part in that.

Dawn sighed.

He was tired and just wanted to sleep, but he had to make sure of something.

"Seal Realese" with those words the cursed elf felt the rope around her getting looser and the stange yellow glow from it dissappear.

Feeling her dark powers come back to her she quickly teleported infront of the white child and took a defensive stance.

Dawn then took the rune blade and its scabbard that were beside him and threw it for the elf.

The elf caught it and with a swift move pulled out the sword pointing it towards Dawn.

Tension built up as they stared at eachother in the eyes.

This continued for a whole minute until finally Dawn was the first to speak.

"Good, that child is important to you after all. Then this will make things much easier." Said Dawn as he dropped to the ground.

The elfs were confused by his actions and were still on guard.

While Dawn either didn't feel threatend by them or just didn't care.

"I want to ask one last thing before you do anything." Said Dawn as he took out a wine bottle he looted from the bald man's corpse and took a swing out of it.

"Bleh! What is this light horse piss? But this is the only alcohol I have right now." He then took another sip out of it and looked at the elfs again.

"My question is. What is your end goal?"

The cursed woman looked at the white one behind her with a concearned look.

She then with a sigh answeared.

"We want to return to our home realm, Eldmar."

Dawn smiled wickedly inside his mind.

He hoped she would say that.

"Then you are the unluckyest people I've ever met. I will now tell you what kind of a situation you are in. Do you know what the black market is?"

The elfs shook their heads

"Since you don't know I am going to start with that."

"I recomment you take a seat. This is going to  take some time to process."

After that the elfs exchanged on final glance before Erisha answeared.

"Only if I can free my brother!"

"Suit yourself."

Dawn then began explaining what the black market was, how it worked and why it existed.

He described it in gruesome detail making the elfs almost vomit on to the ground.

"Such cruelty and for what? Just because of one's selfish desires?" Said the white child with clear disgust in his voice.

"Most humans are not evil, they do not even know what the black market is." He explained "We do not live as long as you do. When you can only live up to at most 100 years desires become much more important then what is right and wrong."

He sipped in to the wine bottle before continueing.

"We tend to live in the moment while forgetting the consequenses for our actions."

Just then from the elfs direction came two loud growles that echoed through the cave.

Without saying a word Dawn picked up the two bowls he preapered and began to pour bear stew for the elfs.

He then passed it on to them with crude wooden spoons.

The elfs were hesitant to try it out suspecting that poison was in it, but once they took a spoon full of it they wolfed the entier thing down.

One hour later the elfs were full and satisfied.

"Now that you have eaten I want to continue where we left off."

The elfs nodded.

"Now that you know what the black market is you understand the situation you are in. However this is not over. The people who wanted to buy you are going to come after you and there is a high chance they will get you before you can return home."

The cursed woman clenched her fists as she was trying to think of something, anything that could help and get them back home.

"However I know someone who could help you."

The elfs eyes widened as they looked at Dawn again.

"This person owes me a dept. If it is that person then the chances of you going home increases and I can take you to her." Said Dawn

The elfs eyes regained hope and looked at one another, but the cursed elfs smile quickly faded and turned back to a frown as she looked back at Dawn.

"What's the catch?" Asked the elf.

Dawn locked eyes with her, his face emotionless and cold.

"As I said I can take you there, but I am not really beloved by mankind. Although the person I spoke about cannot refuse my request after she sends you back to Eldmar I will most likely be imprisoned or killed on the spot." Said Dawn

The cursed woman had expected this answear.

From where you might ask?

It was simple. Who in their right mind would willingly live in this godforesaken forest?

Most fruits were poisenious, every living being was out to kill one another and in some parts it was filled with some kind of mana that rejected the living and turned them in to undead monsteres.

The other thing that gave it away was the deal Dawn made with the bald man.

It was clear he was hiding and did almost anything to stay hidden.

So why did he offer to guide them to this person despite all the danger?

"What I want is to go all the way." Said Dawn.

The elf looked at him confused.

"What do you mean "all the way"? Asked the white child

"I wish to go to Eldmar with you." Said Dawn

The two elfs eyes widened as they screamed in union.
